Daily Archive 04.10.2019

Etiology and pathogenesis of nonspecific aortoarteritis

The etiology is unknown. The combination with diseases such as rheumatoid arthritis, ankylosing spondylitis, ulcerative colitis, suggests the possibility of an autoimmune nature. It is assumed that the disease is associated with tuberculosis, streptococcal infection.
A partial or generalized lesion of the ascending and (or) descending aorta and its branches, sometimes the pulmonary artery, is observed . The middle and outer shell of the vessel or all of the membranes ( panarteritis ) are affected . Infiltration by lymphocytes, plasma cells, histiocytes, sometimes neutrophils and multinuclear giant cells is characteristic. In the terminal stages, the infiltrates disappear, fibrosis develops. Thickening of the inner membrane and fibrosis of the middle and outer membranes lead to a narrowing or obliteration of the lumen of the vessel. There may be aneurysms, stratification of the vessel wall, sometimes with its rupture. Sometimes the aortic valve and coronary vessels are affected, the aortic opening becomes dilated, which leads to aortic insufficiency.

Clinic of nonspecific aortoarteritis

At an early stage, systemic signs are noted – fatigue, weight loss, low fever, arthralgia, or moderate synovitis . Later, ischemic symptoms appear – a decrease in heart rate and (or) noise. The upper limbs become cold, weakness in the arms develops, rapid fatigue, intermittent claudication, pain along the vessels. Dizziness and fainting are often observed, especially when moving from horizontal to vertical, as a result of occlusion of the carotid arteries. Nausea, headache, blurred vision, or ischemic ulcers; narrowing of the aorta or renal larter can lead to arterial hypertension. II far-reaching cases of arterial insufficiency can cause atrophy and ulceration of the skin on the face, scalp, hair and (or) forehead loss, dementia, abdominal pain, myocardial ischemia. Ruptured aneurysms or stratified arteries can lead to sudden death.
During the examination, the determination of the pulse on the radial, brachial, carotid arteries, aorta, auscultation of large vessels, blood pressure should be measured on both arms and legs is of primary importance. Characteristic asymmetric weakening or disappearance of the pulse on the hands, asymmetry of blood pressure. Over stenotic vessels, a rough systolic murmur can be heard. More than half of patients with increased blood pressure.
Collateral circulation can be detected on the shoulders or elsewhere. Aortic insufficiency may be observed. In the active phase of the disease, ESR is increased, moderate anemia may be noted. The white blood cell count is usually normal or slightly elevated. Serum gamma globulins are often elevated.

Diagnosis and differential diagnosis of nonspecific aortoarteritis

At an early stage of the disease, when there are only general nonspecific symptoms (weight loss, fever, arthralgia), it is difficult to make a diagnosis, but the possibility of aortoarteritis should always be considered when developing such symptoms in a young woman. Recognition of aortoarteritis in such cases is based on the detection of noise or decreased heart rate in large arteries. With an expanded picture of the disease, the diagnosis is based on the detection of cerebral ischemic syndrome, ischemic lesion of the extremities with a decrease in heart rate in large vessels, and vasorenal hypertension.
The diagnosis is confirmed by angiography or dopplerography, rheovasography . On arteriogram reveals narrowing – or patchy throughout the valley – vascular segments, expanding areas. These changes are more often observed in the proximal aorta and its branches. The affected arteries are usually too large to biopsy, but they must be examined with surgical intervention.
Differential diagnosis is carried out with arthritis observed with rheumatism, ankylosing spondylitis, Reiter’s disease, syphilis, vasorenal hypertension with atherosclerosis and fibromuscular dysplasia of the renal vessels.

[Someone pasted crystal structures at this point]
........
DFT (PBE-GGA) results for a relaxed Y2U2Tc3 crystal.

abc: 6.0023 7.2083 7.2121
angles: 90.00 94.83 90.00
Last column: nearest neighbours and their distance in Å.
Fractional coordinates of all 14 atoms:
Y  0.1470  0.3450  0.1737  4 Tc 2.81-3.13
Y  0.8530  0.8450  0.3263  4 Tc 2.81-3.13
Y  0.1470  0.1550  0.6737  4 Tc 2.81-3.13
Y  0.8530  0.6550  0.8263  4 Tc 2.81-3.13
U  0.3660  0.6969  0.5146  3 Tc 2.41-2.61
U  0.6340  0.3031  0.4854  3 Tc 2.41-2.61
U  0.3660  0.8031  0.0146  3 Tc 2.41-2.61
U  0.6340  0.1969  0.9854  3 Tc 2.41-2.61
Tc  0.0000  0.5000  0.5000  2 U 2.61, 4 Y 2.81-2.89
Tc  0.3561  0.9745  0.3291  2 U 2.41-2.59
Tc  0.0000  0.0000  0.0000  2 U 2.61, 4 Y 2.81-2.89
Tc  0.6439  0.4745  0.1709  2 U 2.41-2.59
Tc  0.6439  0.0255  0.6709  2 U 2.41-2.59
Tc  0.3561  0.5255  0.8291  2 U 2.41-2.59

Computed properties:
- Energy: -9.590 eV/atom
- Calculated volume: 310.9 Å³/cell

=====

DFT (PBE-GGA) results for a relaxed ThZrMo4 crystal.

abc: 5.5134 5.5134 5.5134
angles: 60.00 60.00 60.00
Last column: nearest neighbours and their distance in Å.
Fractional coordinates of all 6 atoms:
Zr  0.0000  0.0000  0.0000  12 Mo 3.23, 4 Th 3.38
Mo  0.6252  0.6252  0.6252  6 Mo 2.75-2.76
Mo  0.6252  0.6252  0.1245  6 Mo 2.75-2.76
Mo  0.1245  0.6252  0.6252  6 Mo 2.75-2.76
Mo  0.6252  0.1245  0.6252  6 Mo 2.75-2.76
Th  0.2500  0.2500  0.2500  12 Mo 3.23, 4 Zr 3.38

Computed properties:
- Energy: -9.842 eV/atom
- Calculated volume: 118.5 Å³/cell

~~~~~

TmZnPd5 after structural relaxation, computed with GGA-PBE.

Values from the calculation:
- Electronic total energy: -5.111 eV/atom
- Density: 10.60 g/cm³
- DFT formation energy: -0.581 eV/atom
- Energy above the most stable polymorph in this dataset: 0.0 meV per atom
- Calculated volume: 120.12 Å³/cell
- Total moment: 0.0000 μB/atom

Structure (POSCAR):
```
TmZnPd5
1.0
4.127 0.000 0.000
0.000 4.127 0.000
0.000 0.000 7.052
Tm Zn Pd
1 1 5
Direct
0.000 0.000 0.500
0.500 0.500 0.000
0.000 0.500 0.784
0.000 0.500 0.216
0.500 0.000 0.784
0.500 0.000 0.216
0.500 0.500 0.500
```
........

Etiology of embolism

In 92–95% of patients, the causes of arterial embolism are heart diseases and, first of all, myocardial infarction (especially in the first 2-3 weeks of illness), complicated by severe cardiac arrhythmias, acute or chronic left ventricular aneurysm. Cause emboli may be combined rheumatic mitral heart disease with a prevalence of stenosis complicated intraatrial thrombosis due to atrial arrhythmia. Subacute bacterial endocarditis and congenital heart defects lead less often to arterial embolism. Sources of emboli can be aneurysms of the abdominal part of the aorta and large main arteries (in 3-4% of patients with embolism), ulcerative atheromatosis of the thoracic and abdominal parts of the aorta.

Embolism pathogenesis

As a rule, emboli are localized in the area of ​​branching or narrowing of the arteries. Embolism is accompanied by a pronounced reflex arterial spasm, responsible for the formation of an extended thrombus, which blocks the collateral network. With thrombosis and embolism of the main arteries of the limbs in the corresponding vascular pools, acute tissue hypoxia occurs, the main cause of which is a violation of blood flow in the vessels of the microvasculature. In the affected tissues, an excess of under-oxidized metabolic products is formed, which leads to the development of metabolic acidosis. The latter promotes platelet adhesion and the formation of platelet aggregates in the capillary lumen , exacerbating the severity of ischemia.
The increase in hypoxia adversely affects the course of redox processes in the tissues. They increase the content of membrane – toxins – histamine, serotonin, kinins , prostaglandins , which increase the permeability of cell membranes and intracellular membranes. As a result of impaired cellular permeability, subfascial edema of the muscles appears , in which the blood flow deteriorates even more due to compression by the bone-fascial cases. Changes in bone metabolism and cell death lead to the breakdown of lysosomes with the release of hydrolases that lyse tissues. The consequence of this is the development of soft tissue necrosis. From the ischemic tissues in the bloodstream fed suboxide – lennye metabolic products resulting in metabolic acidosis, toxic products, potassium, myoglobin. Severe disturbances in the activity of the cardiovascular system occur, manifested by a deterioration in cardiac activity, heart rhythm disturbances, and gross changes in central hemodynamics. Circulatory hypoxia increases, and renal filtration decreases.